Entry from the Open Molecules 2025 dataset: a structure of composition C20H65AsF6N19O11 (the ωB97M-V functional and the def2-TZVPD basis).

The geometry in XYZ format:
```
122
Properties=species:S:1:pos:R:3
As -0.9635 0.4134 -0.2940
F -2.5356 -0.0213 0.6244
F -1.3410 2.1606 -0.0288
F 0.5972 1.0060 -1.0510
F -0.6085 -1.3016 -0.6122
F -1.8462 0.5870 -1.8357
F -0.0464 0.4260 1.2444
C -3.5914 -2.6742 -2.4529
C -2.0501 -2.8687 -2.7400
C -1.8477 -4.2499 -3.4396
O -0.3747 -4.2802 -3.4379
C 0.0103 -5.5899 -3.6278
N -1.6316 -1.8352 -3.6011
H -3.8155 -3.2546 -1.5579
H -4.3307 -3.0192 -3.1757
H -3.8325 -1.6268 -2.2716
H -1.5426 -2.7650 -1.7810
H -2.3434 -4.4288 -4.3937
H -2.2918 -4.9195 -2.7030
H 1.0487 -5.8059 -3.3765
H -0.0816 -5.8306 -4.6870
H -0.4992 -6.3532 -3.0396
H -1.3146 -1.0605 -3.0359
H -0.7861 -2.1840 -4.0295
C 4.4023 1.8406 -1.5263
C 4.3533 3.1330 -0.7230
C 5.5210 4.1826 -0.9069
O 6.8861 3.9895 -0.4458
C 7.5177 2.8199 -1.0682
N 3.0610 3.6934 -1.0233
H 5.1174 1.2154 -0.9917
H 4.9112 1.9533 -2.4836
H 3.5113 1.2590 -1.7631
H 4.3525 2.9848 0.3569
H 5.1766 5.0432 -0.3335
H 5.5649 4.4121 -1.9715
H 7.1292 1.8321 -0.8203
H 8.5961 2.8408 -0.9115
H 7.3955 2.8292 -2.1513
H 3.0517 4.3108 -1.8226
H 2.2445 3.0989 -1.0176
C 1.9909 3.3132 2.4839
C 1.1673 2.5328 3.5350
C 1.3695 2.7894 4.9590
O 2.7618 2.6815 5.1517
C 3.1056 1.4591 5.9012
N -0.1995 2.6610 3.1775
H 2.9662 3.4792 2.9415
H 1.4529 4.2415 2.2916
H 1.9947 2.7817 1.5323
H 1.4842 1.4940 3.4423
H 0.7813 2.2262 5.6835
H 1.1456 3.8548 5.0130
H 4.1718 1.4106 6.1225
H 3.0672 0.6440 5.1786
H 2.5719 1.2231 6.8218
H -0.7209 1.9823 3.7138
H -0.2802 2.3710 2.2134
C 3.5443 -1.6668 -0.3548
O 3.9051 -1.8545 -1.4925
N 2.2866 -1.4496 -0.0796
N 4.3442 -1.6831 0.6825
H 1.9943 -1.4999 0.8859
H 1.7147 -1.2165 -0.8788
H 3.9185 -1.6676 1.5982
H 5.3338 -1.5978 0.4991
C 0.6157 2.2950 -4.4484
O 1.3185 2.7894 -5.3182
N 1.1715 2.1338 -3.2930
N -0.6104 1.9388 -4.4859
H 2.1768 2.2140 -3.2385
H 0.7362 1.8114 -2.4405
H -1.1140 1.8238 -3.6179
H -0.8365 1.9468 -5.4702
C 1.1567 -2.1335 3.4668
O 2.0247 -1.7483 2.6760
N 0.1728 -1.4133 3.9091
N 1.1032 -3.3901 3.8534
H 0.2557 -0.4713 3.5544
H -0.6117 -1.8239 4.3949
H 0.2037 -3.6483 4.2333
H 1.6484 -3.9669 3.2289
C -6.2001 -0.4932 1.3718
O -6.1728 0.7189 1.3545
N -5.1560 -1.2176 1.1697
N -7.2019 -1.1922 1.7601
H -4.3028 -0.7758 0.8582
H -5.3215 -2.1916 1.3796
H -7.0929 -2.1857 1.9051
H -8.0802 -0.7951 2.0619
C -5.7987 0.9367 -2.8309
O -5.8735 0.3001 -3.8617
N -4.7269 0.9129 -2.0870
N -6.7466 1.6285 -2.3013
H -3.8709 0.5664 -2.4959
H -4.7735 1.3303 -1.1685
H -7.5388 1.8503 -2.8873
H -6.6245 2.2210 -1.4925
C -2.6135 -3.1000 2.1533
O -3.6207 -3.6830 2.5959
N -1.7368 -3.5773 1.3208
N -2.3145 -1.8923 2.5604
H -1.8483 -4.5030 0.9325
H -0.9585 -3.0132 1.0107
H -2.8801 -1.4467 3.2686
H -1.4609 -1.5088 2.1804
C 1.6788 -4.9212 0.3016
O 2.7796 -4.7526 0.7089
N 0.9753 -5.9775 0.3656

Next, write out everything further up word for word.

Entry from the Open Molecules 2025 dataset: a structure of composition C20H65AsF6N19O11 (the ωB97M-V functional and the def2-TZVPD basis).

The geometry in XYZ format:
```
122
Properties=species:S:1:pos:R:3
As -0.9635 0.4134 -0.2940
F -2.5356 -0.0213 0.6244
F -1.3410 2.1606 -0.0288
F 0.5972 1.0060 -1.0510
F -0.6085 -1.3016 -0.6122
F -1.8462 0.5870 -1.8357
F -0.0464 0.4260 1.2444
C -3.5914 -2.6742 -2.4529
C -2.0501 -2.8687 -2.7400
C -1.8477 -4.2499 -3.4396
O -0.3747 -4.2802 -3.4379
C 0.0103 -5.5899 -3.6278
N -1.6316 -1.8352 -3.6011
H -3.8155 -3.2546 -1.5579
H -4.3307 -3.0192 -3.1757
H -3.8325 -1.6268 -2.2716
H -1.5426 -2.7650 -1.7810
H -2.3434 -4.4288 -4.3937
H -2.2918 -4.9195 -2.7030
H 1.0487 -5.8059 -3.3765
H -0.0816 -5.8306 -4.6870
H -0.4992 -6.3532 -3.0396
H -1.3146 -1.0605 -3.0359
H -0.7861 -2.1840 -4.0295
C 4.4023 1.8406 -1.5263
C 4.3533 3.1330 -0.7230
C 5.5210 4.1826 -0.9069
O 6.8861 3.9895 -0.4458
C 7.5177 2.8199 -1.0682
N 3.0610 3.6934 -1.0233
H 5.1174 1.2154 -0.9917
H 4.9112 1.9533 -2.4836
H 3.5113 1.2590 -1.7631
H 4.3525 2.9848 0.3569
H 5.1766 5.0432 -0.3335
H 5.5649 4.4121 -1.9715
H 7.1292 1.8321 -0.8203
H 8.5961 2.8408 -0.9115
H 7.3955 2.8292 -2.1513
H 3.0517 4.3108 -1.8226
H 2.2445 3.0989 -1.0176
C 1.9909 3.3132 2.4839
C 1.1673 2.5328 3.5350
C 1.3695 2.7894 4.9590
O 2.7618 2.6815 5.1517
C 3.1056 1.4591 5.9012
N -0.1995 2.6610 3.1775
H 2.9662 3.4792 2.9415
H 1.4529 4.2415 2.2916
H 1.9947 2.7817 1.5323
H 1.4842 1.4940 3.4423
H 0.7813 2.2262 5.6835
H 1.1456 3.8548 5.0130
H 4.1718 1.4106 6.1225
H 3.0672 0.6440 5.1786
H 2.5719 1.2231 6.8218
H -0.7209 1.9823 3.7138
H -0.2802 2.3710 2.2134
C 3.5443 -1.6668 -0.3548
O 3.9051 -1.8545 -1.4925
N 2.2866 -1.4496 -0.0796
N 4.3442 -1.6831 0.6825
H 1.9943 -1.4999 0.8859
H 1.7147 -1.2165 -0.8788
H 3.9185 -1.6676 1.5982
H 5.3338 -1.5978 0.4991
C 0.6157 2.2950 -4.4484
O 1.3185 2.7894 -5.3182
N 1.1715 2.1338 -3.2930
N -0.6104 1.9388 -4.4859
H 2.1768 2.2140 -3.2385
H 0.7362 1.8114 -2.4405
H -1.1140 1.8238 -3.6179
H -0.8365 1.9468 -5.4702
C 1.1567 -2.1335 3.4668
O 2.0247 -1.7483 2.6760
N 0.1728 -1.4133 3.9091
N 1.1032 -3.3901 3.8534
H 0.2557 -0.4713 3.5544
H -0.6117 -1.8239 4.3949
H 0.2037 -3.6483 4.2333
H 1.6484 -3.9669 3.2289
C -6.2001 -0.4932 1.3718
O -6.1728 0.7189 1.3545
N -5.1560 -1.2176 1.1697
N -7.2019 -1.1922 1.7601
H -4.3028 -0.7758 0.8582
H -5.3215 -2.1916 1.3796
H -7.0929 -2.1857 1.9051
H -8.0802 -0.7951 2.0619
C -5.7987 0.9367 -2.8309
O -5.8735 0.3001 -3.8617
N -4.7269 0.9129 -2.0870
N -6.7466 1.6285 -2.3013
H -3.8709 0.5664 -2.4959
H -4.7735 1.3303 -1.1685
H -7.5388 1.8503 -2.8873
H -6.6245 2.2210 -1.4925
C -2.6135 -3.1000 2.1533
O -3.6207 -3.6830 2.5959
N -1.7368 -3.5773 1.3208
N -2.3145 -1.8923 2.5604
H -1.8483 -4.5030 0.9325
H -0.9585 -3.0132 1.0107
H -2.8801 -1.4467 3.2686
H -1.4609 -1.5088 2.1804
C 1.6788 -4.9212 0.3016
O 2.7796 -4.7526 0.7089
N 0.9753 -5.9775 0.3656